### Entries
/*
(1)
## RbZr2TcMo (PBE)

Data for a relaxed structure of RbZr2TcMo.

Output
Energy relative to the elements = 1.8115 eV per atom
DOS at the Fermi energy = 1.0228 states/eV per atom

abc: 5.0246 5.0246 5.4854
angles: 90.00 90.00 90.00
Space group P4/mmm (No. 123)
One atom of each set of equivalent atoms:
Rb  0.0000  0.0000  0.0000
Zr  0.0000  0.5000  0.5000
Tc  0.5000  0.5000  0.0000
Mo  0.0000  0.0000  0.5000

***

(2)
## RbTeMo3 (PBE)

Data for a relaxed structure of RbTeMo3.

Output
Polymorph energy (0 for the lowest one) = 0 meV per atom
DOS at the Fermi energy = 0.7675 states/eV per atom
Uncorrected formation energy = 955 kJ/mol of formula units

abc: 5.1426 5.1426 5.1426
angles: 90.00 90.00 90.00
Space group Pm-3m (No. 221)
One atom of each set of equivalent atoms:
Rb  0.0000  0.0000  0.0000
Te  0.5000  0.5000  0.5000
Mo  0.0000  0.5000  0.5000

***

(3)
## Rb2Te4Mo (PBE)

Data for a relaxed structure of Rb2Te4Mo.

Output
DOS at the Fermi energy = 1.2158 states/eV per atom
Uncorrected formation energy = -180 kJ/mol of formula units

abc: 5.3548 5.3548 18.9058
angles: 90.00 90.00 90.00
Space group I4/mmm (No. 139)
One atom of each set of equivalent atoms:
Rb  0.0000  0.0000  0.1542
Te  0.0000  0.0000  0.3514
Te  0.0000  0.5000  0.0000
Mo  0.0000  0.0000  0.5000

***

(4)
## RbTeMo3 (PBE)

Data for a relaxed structure of RbTeMo3.

Output
Polymorph energy (0 for the lowest one) = 1197 meV per atom
DOS at the Fermi energy = 0.7217 states/eV per atom
Uncorrected formation energy = 1533 kJ/mol of formula units

abc: 4.8066 4.8066 4.8066
angles: 90.00 90.00 90.00
Space group Pm-3m (No. 221)
One atom of each set of equivalent atoms:
Rb  0.0000  0.0000  0.0000
Te  0.5000  0.5000  0.5000
Mo  0.0000  0.0000  0.5000

***

(5)
## RbTi2TeMo (PBE)

Data for a relaxed structure of RbTi2TeMo.

Output
DOS at the Fermi energy = 1.3783 states/eV per atom
Uncorrected formation energy = 294 kJ/mol of formula units

abc: 4.9075 4.9075 5.5582
angles: 90.00 90.00 90.00
Space group P4/mmm (No. 123)
One atom of each set of equivalent atoms:
Rb  0.0000  0.0000  0.0000
Ti  0.0000  0.5000  0.5000
Te  0.5000  0.5000  0.0000
Mo  0.5000  0.5000  0.5000

***

(6)
## Rb2ZnTeMo (PBE)

Data for a relaxed structure of Rb2ZnTeMo.

Output
DOS at the Fermi energy = 0.5606 states/eV per atom
Uncorrected formation energy = 277 kJ/mol of formula units

abc: 7.0971 7.0971 5.2368
angles: 90.00 90.00 90.00
Space group P4/mmm (No. 123)
One atom of each set of equivalent atoms:
Rb  0.0000  0.5000  0.0000
Zn  0.0000  0.0000  0.5000
Te  0.5000  0.5000  0.5000
Mo  0.5000  0.5000  0.0000

***

(7)
## RbTi2Mo (PBE)

Data for a relaxed structure of RbTi2Mo.

Output
Energy relative to the elements = 1.3300 eV per atom
Polymorph energy (0 for the lowest one) = 0 meV per atom
DOS at the Fermi energy = 1.7197 states/eV per atom

abc: 6.8367 6.8367 6.8367
angles: 90.00 90.00 90.00
Space group Fm-3m (No. 225)
One atom of each set of equivalent atoms:
Rb  0.0000  0.0000  0.0000
Ti  0.2500  0.2500  0.2500
Mo  0.0000  0.0000  0.5000

***

(8)
## RbTiMo3 (PBE)

Data for a relaxed structure of RbTiMo3.

Output
Energy relative to the elements = 3.0793 eV per atom
Polymorph energy (0 for the lowest one) = 1122 meV per atom
DOS at the Fermi energy = 1.2406 states/eV per atom

abc: 4.6663 4.6663 4.6663
angles: 90.00 90.00 90.00
Space group Pm-3m (No. 221)
One atom of each set of equivalent atoms:
Rb  0.0000  0.0000  0.0000
Ti  0.5000  0.5000  0.5000
Mo  0.0000  0.0000  0.5000

***

(9)
## RbTiMo3 (PBE)

Data for a relaxed structure of RbTiMo3.

Output
Energy relative to the elements = 1.9568 eV per atom
Polymorph energy (0 for the lowest one) = 0 meV per atom
DOS at the Fermi energy = 2.0353 states/eV per atom

abc: 4.8479 4.8479 4.8479
angles: 90.00 90.00 90.00
Space group Pm-3m (No. 221)
One atom of each set of equivalent atoms:
Rb  0.0000  0.0000  0.0000
Ti  0.5000  0.5000  0.5000
Mo  0.0000  0.5000  0.5000

***

(10)
## RbTiMo2 (PBE)

Data for a relaxed structure of RbTiMo2.

Output
*/

### Request
Please work out how many lines further up have the word "RbTi2Mo" in them; a number is enough.

### Worked solution
2